dinsdag 21 september 2010

I'm still alive!

So it's almost been a month since my last post.. I remembered saying someting about telling you something about my first day of American high school? Will the first few weeks work as well?

I'm really sorry, but I've had so much stuff to do the last weeks I din't even think about blogging. But no worries, I didn't quite understand the lockers at first but I didn't lock myself up, and the Pirates walking around school are all very nice and friendly.. It's been going AWESOME!
When I walked in school I was shaking and so afraid that I would get lost or something, but everything went well. American High school is so much better than school in the Netherlands! We get grades for doing our homework, the stuff they make us learn is not too hard and the teachers are great. After a few days I changed my Art 1 class into Drawing, because it's a more advanced class and people told me that there would be at least a few people in there who actually LIKED it and not just took the class because they wouldn't get homework, which works better for me. I also changed my ALGEBRA class into SPANISH. Yep, I'm serious! No math for me this year! No doubt this will be the best year of my life, hah!
All my other classes are amazing. I'm having a great time in choir and orchestra. Geoscience is amazing, Spanis is amazing, creative writing is awesome (except they're making us read a book now.. but I'll have to get over it to prepare for the IB program I will be following for the next 3 years anyway) and US history is so much fun too.. I honestly can't believe how American teenagers are constantly complaining about their life in High school.

Soccer is going good! Well, practice is. I kind of made the varsity team which is great, but we're not doing too good on our games. However, we are really improving and I'm having a blast. I mean come on, leaving school early to drive up to Las Vegas in a yellow school bus to play a soccer game? I freaking don't even care about the score anymore!

A while ago I went camping in Utah with Richard, Jackie, Robert, Austin, Sarah and Caro. We drove to St George on this amazing road which was blown out of a mountain many many years ago, it was so pretty! We got up to the mountain in Utah and there were trees! Was very nice to see because we don't have many of them here in Nevada!
We slept in tents for two night and it was freeeeezing, but I had a blast. We went hiking, were only a few inches away from Zion's national park so it was beautiful over there.. We had a campfire, ate smores (=American calorie bombs but really good!) and did a lot of other stuff. My favorite retarde chihuahua Taco was with us to so I had a blast!

Then there was the EF orientation meeting just a few days ago! We got to miss 2 days of school and drove up to Mount Charleston, a high mountain just half an hour outside of Vegas. It's crazy how the landscape changes so fast here, because I swear, when you're in Vegas you have the feeling you're right in the middle of the desert, but Mount Charleston was cold and densely vegetated! Is that a word?
We came together with all the exchange students in southern Nevada and had orientation meetings, a campfire, a dance and a lot of free time. I met a lot of people, got to see some people from Language&culture camp again and had a great time. Can't wait for the next EF meeting!

Thennnn I've got some great news for you guys! Well.. actually for me. I WILL BE CELEBRATING MY 16TH BIRTHDAY IN SAN FRANCISCO! CALIFORNIAAAA! Well, I'm not really celebrating it there but I'm going only 3 days after my birthday.. I'm so excited!

## Records of crystals from another source follow
┌──
Entry 1:
The following is a theoretical powder diffraction line list of Te2Mo3Se2S2. It was derived from the PBE geometry in the Materials Project, using Cu Kα.
No peak broadening, texture or thermal motion is included.

Peak list (8 most intense, 15 to 90 degrees two-theta, by intensity)
hkl 1 0 7, 37.1°, intensity 100; hkl 0 1 6, 35.5°, intensity 80; hkl 1 0 11, 44.9°, intensity 58; hkl 1 1 0, 54.8°, intensity 54; hkl 1 0 0, 30.8°, intensity 51; hkl 0 1 10, 42.7°, intensity 42; hkl 0 1 1, 31.0°, intensity 35; hkl 1 1 17, 77.4°, intensity 20

Atomic structure:
```
Te2Mo3Se2S2
1.0
3.349 0.000 0.000
-1.675 2.901 0.000
0.000 0.000 30.960
Te Mo Se S
2 3 2 2
direct
0.000 0.000 0.000
0.000 0.000 0.122
0.000 0.000 0.293
0.000 0.000 0.830
0.333 0.667 0.061
0.333 0.667 0.239
0.333 0.667 0.346
0.333 0.667 0.781
0.333 0.667 0.879
```

---

Entry 2:
The following is a theoretical powder diffraction line list of Te2Mo2SeS. It was derived from the PBE geometry in the Materials Project, using Cu Kα.
No peak broadening, texture or thermal motion is included.

Peak list (8 most intense, 15 to 90 degrees two-theta, by intensity)
hkl 1 0 8, 35.4°, intensity 100; hkl 0 1 13, 42.5°, intensity 74; hkl 1 0 0, 30.4°, intensity 66; hkl 1 1 0, 54.0°, intensity 47; hkl 1 0 9, 36.6°, intensity 25; hkl 1 0 14, 44.2°, intensity 22; hkl 1 1 21, 74.9°, intensity 20; hkl 0 1 7, 34.3°, intensity 19

Atomic structure:
```
Te2Mo2SeS
1.0
3.399 0.000 0.000
-1.700 2.944 0.000
0.000 0.000 40.009
Te Mo Se S
4 4 2 2
direct
0.000 0.000 0.000
0.000 0.000 0.094
0.333 0.667 0.190
0.333 0.667 0.284
0.000 0.000 0.237
0.000 0.000 0.860
0.333 0.667 0.047
0.333 0.667 0.424
0.000 0.000 0.383
0.000 0.000 0.465
0.333 0.667 0.823
0.333 0.667 0.898
```

---

Entry 3:
The following is a theoretical powder diffraction line list of TeMo2Se2S. It was derived from the PBE geometry in the Materials Project, using Cu Kα.
No peak broadening, texture or thermal motion is included.

Peak list (8 most intense, 15 to 90 degrees two-theta, by intensity)
hkl 0 1 8, 36.3°, intensity 100; hkl 1 0 13, 44.0°, intensity 58; hkl 1 0 0, 30.9°, intensity 57; hkl 1 1 0, 54.9°, intensity 34; hkl 0 1 10, 39.1°, intensity 21; hkl 0 1 14, 45.8°, intensity 18; hkl 1 1 21, 77.8°, intensity 17; hkl 2 0 8, 67.6°, intensity 16

Atomic structure:
```
TeMo2Se2S
1.0
3.344 0.000 0.000
-1.672 2.896 0.000
0.000 0.000 37.994
Te Mo Se S
2 4 4 2
direct
0.000 0.000 0.000
0.000 0.000 0.100
0.000 0.000 0.486
0.000 0.000 0.862
0.333 0.667 0.050
0.333 0.667 0.674
0.000 0.000 0.630
0.000 0.000 0.718
0.333 0.667 0.442
0.333 0.667 0.530
0.333 0.667 0.822
0.333 0.667 0.902
```

---

Entry 4:
The following is a theoretical powder diffraction line list of Te2Mo2SeS. It was derived from the PBE geometry in the Materials Project, using Cu Kα.
No peak broadening, texture or thermal motion is included.

Peak list (8 most intense, 15 to 90 degrees two-theta, by intensity)
└──
## The records of crystals stop here

And homecoming is coming up.. I'm getting nervous but really excited! A new real American experience!

Misplaced crystal structures =
=====
Structure and computed PXRD pattern of NaPrTiNbO6F (a cell relaxed with GGA-PBE; Cu Kα (λ = 1.5418 Å)).
No peak broadening, texture or thermal motion is included.

Cell and atoms:
```
NaPrTiNbO6F
1.0
-3.624 3.804 5.179
3.624 -3.804 5.179
3.624 3.804 -5.179
Na Pr Ti Nb O F
2 2 2 2 12 2
Cartesian
-1.812 1.902 2.590
1.812 1.902 2.590
0.000 0.000 0.000
0.000 3.804 0.000
1.812 1.902 -2.590
1.812 -1.902 2.590
3.624 0.000 0.000
0.000 0.000 5.179
2.142 -0.462 1.273
5.106 -0.462 1.273
3.624 -1.902 3.393
2.142 3.342 -1.273
1.482 -0.462 3.906
3.624 1.902 0.691
0.000 1.902 4.488
2.142 4.266 1.273
1.482 0.462 6.452
0.000 5.706 1.786
-1.482 4.266 3.906
1.482 4.266 3.906
0.000 1.902 1.343
3.624 1.902 3.836
```

Principal peaks in the range 10° ≤ 2θ ≤ 90°, in order of falling intensity:
Position (°2θ), I (rel.)
29.13, 1000
30.10, 908
49.45, 634
17.12, 519
59.25, 386
34.17, 312
57.55, 278
38.46, 263
23.38, 229
24.56, 206

=====

Structure and computed PXRD pattern of NaPrTiNbO6F (a cell relaxed with GGA-PBE; Cu Kα (λ = 1.5418 Å)).
No peak broadening, texture or thermal motion is included.

Cell and atoms:
```
NaPrTiNbO6F
1.0
7.395 0.000 0.000
0.000 7.395 0.000
0.000 0.000 10.499
Na Pr Ti Nb O F
4 4 4 4 24 4
Cartesian
0.000 1.596 0.000
0.000 5.799 5.249
1.596 0.000 7.874
5.799 0.000 2.625
1.670 3.698 7.874
3.698 1.670 0.000
3.698 5.725 5.249
5.725 3.698 2.625
1.958 3.698 2.625
3.698 1.958 5.249
3.698 5.438 0.000
5.438 3.698 7.874
0.000 1.908 5.249
0.000 5.487 0.000
1.908 0.000 2.625
5.487 0.000 7.874
0.432 3.299 3.859
0.432 4.097 1.390
0.460 0.460 3.937
0.460 6.936 1.312
1.859 2.014 5.996
1.859 5.381 9.752
2.014 1.859 1.878
2.014 5.536 3.371
3.299 0.432 4.015
3.299 6.963 1.235
3.390 3.390 3.937
3.390 4.006 1.312
4.006 3.390 6.562
4.006 4.006 9.186
4.097 0.432 6.484
4.097 6.963 9.264
5.381 1.859 8.621
5.381 5.536 7.127
5.536 2.014 4.503
5.536 5.381 0.747
6.936 0.460 6.562
6.936 6.936 9.186
6.963 3.299 6.639
6.963 4.097 9.109
1.767 1.767 9.186
1.767 5.629 6.562
5.629 1.767 1.312
5.629 5.629 3.937
```

Principal peaks in the range 10° ≤ 2θ ≤ 90°, in order of falling intensity:
Position (°2θ), I (rel.)
29.55, 1000
18.96, 431
49.19, 327
58.52, 242
34.30, 155
49.29, 152
58.34, 139
=====

Life is great.

Here the page breaks off for records of crystals =
- - -
This entry pairs a crystal structure of Y3VH3O8 with its computed powder X-ray diffraction pattern. Radiation: Cu Kα, 1.54184 Å. Structure: DFT lattice parameters and positions (PBE+U).

Cell and atoms:
a b c (Å): 5.609 10.444 5.951
angles (deg): 90.00 105.20 90.00
Space group P2_1/m (No. 11)
One atom of each set of equivalent atoms:
Y1 0.185 0.039 0.306 x4
Y2 0.273 0.250 0.796 x2
V1 0.310 0.750 0.542 x2
H1 0.103 0.750 0.912 x2
H2 0.342 0.547 0.913 x4
O1 0.038 0.630 0.459 x4
O2 0.077 0.250 0.109 x2
O3 0.228 0.020 0.937 x4
O4 0.421 0.750 0.845 x2
O5 0.496 0.625 0.407 x4

Top 8 peaks for 2θ from 10° to 90°, in order of rising 2θ:
(0 0 1), 2θ 15.43, I 31.6; (1 1 0), 2θ 18.46, I 31.8; (1 2 -1), 2θ 25.86, I 82.9; (1 2 1), 2θ 30.71, I 100.0; (1 0 -2), 2θ 31.19, I 35.3; (1 1 -2), 2θ 32.34, I 52.9; (0 4 0), 2θ 34.35, I 31.8; (2 2 -3), 2θ 53.80, I 38.0

* * * * *

Diffraction record for Ta4W2C3S3. The powder diffraction line list is theoretical, not measured: it uses a crystal structure in OQMD, relaxed with GGA-PBE and Cu Kα X-rays.
Kinematic intensities with the Lorentz-polarization factor, no thermal factor.

Structural model:
```
data_Ta4W2C3S3
_cell_length_a 9.7819
_cell_length_b 5.6607
_cell_length_c 12.2021
_cell_angle_alpha 90.00
_cell_angle_beta 105.95
_cell_angle_gamma 90.00
_symmetry_space_group_name_H-M 'C 1 2/c 1'
_symmetry_Int_Tables_number 15
_symmetry_space_group_name_Hall '-C 2yc'
loop_
_atom_site_label
_atom_site_type_symbol
_atom_site_fract_x
_atom_site_fract_y
_atom_site_fract_z
Ta1 Ta 0.1166 0.0942 0.0965
Ta2 Ta 0.2217 0.0782 0.4039
W1 W 0.0468 0.4239 0.9107
C1 C 0.0858 0.2415 0.5006
C2 C 0.2500 0.2500 0.0000
S1 S 0.0000 0.0947 0.7500
S2 S 0.1613 0.4211 0.2505
```

The 10 most intense peaks (2θ = 5–70°), in order of rising 2θ:
2θ/deg, d (Å), I/Imax, (hkl)
15.10, 5.866, 30, 0 0 2
30.48, 2.933, 20, 0 0 4
31.65, 2.827, 42, 0 2 0
32.54, 2.751, 30, 0 2 1
32.65, 2.743, 17, 3 1 0
39.25, 2.295, 100, 3 1 -4
39.47, 2.283, 49, 3 1 2
46.44, 1.955, 18, 0 0 6
56.33, 1.633, 25, 3 3 -1
56.44, 1.630, 12, 6 0 -2

Diffraction record for TbCS5. The powder diffraction line list is theoretical, not measured: it uses a crystal structure in OQMD, relaxed with GGA-PBE and Cu Kα X-rays.
Kinematic intensities with the Lorentz-polarization factor, no thermal factor.

Structural model:
```
data_TbCS5
_cell_length_a 4.9237
_cell_length_b 5.3978
_cell_length_c 7.4330
_cell_angle_alpha 74.43
_cell_angle_beta 76.65
_cell_angle_gamma 76.86
_symmetry_space_group_name_H-M 'P 1'
_symmetry_Int_Tables_number 1
_symmetry_space_group_name_Hall 'P 1'
loop_
_atom_site_label
_atom_site_type_symbol
_atom_site_fract_x
_atom_site_fract_y
_atom_site_fract_z
Tb1 Tb 0.0000 0.0000 0.0000
C1 C 0.0948 0.6260 0.4200
S1 S 0.2706 0.3475 0.4577
S2 S 0.4629 0.6359 0.8910
S3 S 0.4936 0.1616 0.8844
S4 S 0.8442 0.5435 0.9891
S5 S 0.9115 0.9114 0.4038
```

The 10 most intense peaks (2θ = 5–70°), in order of rising 2θ:
2θ/deg, d (Å), I/Imax, (hkl)
12.57, 7.042, 100, 0 0 1
17.33, 5.118, 23, 0 1 0
- - -
The page goes on =

I know that I haven't had a lot of contact with many family and friends back home.. I still love you though! I promise it will get better.. I'm working on it!
Gotta go back to homework now. Don't think I'm on a vacation here! I'm actually learning a lot :)

I'll keep you updated! My next post is probably about how christmas was.. But we'll see!